........
The following is a PBE-GGA calculation of a geometry-optimized CsSbH4O5 structure, from Materials Project.

a = 6.7509 Å, b = 6.7803 Å, c = 7.5970 Å
α = 90.30°, β = 109.97°, γ = 113.63°
Closest atoms and distances in Å follow each position.
Atoms (fractional coordinates):
Sb: 0.5372 0.3669 0.8590  6 O 2.00-2.05
Sb: 0.4628 0.6331 0.1410  6 O 2.00-2.05
Cs: 0.8281 0.9914 0.7142  6 O 3.06-3.41, 2 H 3.27-3.40
Cs: 0.1719 0.0086 0.2858  6 O 3.06-3.41, 2 H 3.27-3.40
H: 0.7137 0.4576 0.3156  1 O 0.98
H: 0.3415 0.9544 0.8099  1 O 1.00
H: 0.9046 0.3739 0.1197  1 O 0.99
H: 0.2863 0.5424 0.6844  1 O 0.98
H: 0.0954 0.6261 0.8803  1 O 0.99
H: 0.2803 0.5197 0.3855  1 O 1.00
H: 0.7197 0.4803 0.6145  1 O 1.00
H: 0.6585 0.0456 0.1901  1 O 1.00
O: 0.6859 0.6721 0.0074  2 Sb 2.02
O: 0.2614 0.7342 0.9320  1 H 0.99
O: 0.3141 0.3279 0.9926  2 Sb 2.02
O: 0.3575 0.0605 0.7196  1 H 1.00
O: 0.2205 0.5589 0.2581  1 H 1.00
O: 0.6595 0.5477 0.3711  1 H 0.98
O: 0.3405 0.4523 0.6289  1 H 0.98
O: 0.7795 0.4411 0.7419  1 H 1.00
O: 0.6425 0.9395 0.2804  1 H 1.00
O: 0.7386 0.2658 0.0680  1 H 0.99

Computed properties:
Volume = 295 Å³/cell
Theoretical density = 3.81 g/cm³
SG = P-1, No. 2
Formation enthalpy at 0 K = -157.06 kJ per mole of atoms
Total energy = -0.1931 hartree per atom

=====

The following is a PBE-GGA calculation of a geometry-optimized CsHSeO4 structure, from Materials Project.

a = 8.6862 Å, b = 7.9640 Å, c = 8.1563 Å
α = 69.52°, β = 90.00°, γ = 90.00°
Closest atoms and distances in Å follow each position.
Atoms (fractional coordinates):
H: 0.7924 0.4616 0.1104  1 O 1.03
H: 0.2924 0.0384 0.8896  1 O 1.03
H: 0.7076 0.9616 0.1104  1 O 1.03
H: 0.2076 0.5384 0.8896  1 O 1.03
O: 0.0205 0.8047 0.3157  1 Se 1.65
O: 0.7879 0.8930 0.0652  1 H 1.03
O: 0.9276 0.5765 0.1478  1 H 1.58, 1 Se 1.67
O: 0.2121 0.1070 0.9348  1 H 1.03
O: 0.9795 0.1953 0.6843  1 Se 1.65
O: 0.4795 0.3047 0.3157  1 Se 1.65
O: 0.2879 0.6070 0.9348  1 H 1.03
O: 0.0724 0.4235 0.8522  1 H 1.58, 1 Se 1.67
O: 0.5724 0.0765 0.1478  1 H 1.58, 1 Se 1.67
O: 0.2636 0.3584 0.6071  1 Se 1.65
O: 0.7121 0.3930 0.0652  1 H 1.03
O: 0.7364 0.6416 0.3929  1 Se 1.65
O: 0.2364 0.8584 0.6071  1 Se 1.65
O: 0.7636 0.1416 0.3929  1 Se 1.65
O: 0.4276 0.9235 0.8522  1 H 1.58, 1 Se 1.67
O: 0.5205 0.6953 0.6843  1 Se 1.65
Se: 0.3724 0.7793 0.7558  4 O 1.65-1.78
Se: 0.1276 0.2793 0.7558  4 O 1.65-1.78
Se: 0.6276 0.2207 0.2442  4 O 1.65-1.78
Se: 0.8724 0.7207 0.2442  4 O 1.65-1.78
Cs: 0.6252 0.2937 0.7061  9 O 3.19-3.44, 2 H 3.50-3.55
Cs: 0.8748 0.7937 0.7061  9 O 3.19-3.44, 2 H 3.50-3.55
Cs: 0.1252 0.2063 0.2939  9 O 3.19-3.44, 2 H 3.50-3.55
Cs: 0.3748 0.7063 0.2939  9 O 3.19-3.44, 2 H 3.50-3.55

Computed properties:
Volume = 529 Å³/cell
Theoretical density = 3.48 g/cm³
SG = P2_1/c, No. 14
Formation enthalpy at 0 K = -145.96 kJ per mole of atoms
Total energy = -0.1859 hartree per atom

=====

The following is a PBE-GGA calculation of a geometry-optimized CsSi2HO5 structure, from Materials Project.

a = 5.0492 Å, b = 8.9841 Å, c = 13.0407 Å
α = 90.00°, β = 90.00°, γ = 90.00°
Closest atoms and distances in Å follow each position.
Atoms (fractional coordinates):
Si: 0.9698 0.5712 0.3165  4 O 1.61-1.65
Si: 0.5302 0.4288 0.8165  4 O 1.61-1.65
Si: 0.0302 0.4288 0.6835  4 O 1.61-1.65
Si: 0.4698 0.9288 0.1835  4 O 1.61-1.65
Si: 0.0302 0.0712 0.6835  4 O 1.61-1.65
Si: 0.4698 0.5712 0.1835  4 O 1.61-1.65
Si: 0.9698 0.9288 0.3165  4 O 1.61-1.65
Si: 0.5302 0.0712 0.8165  4 O 1.61-1.65
O: 0.1035 0.5252 0.5836  1 H 1.23
O: 0.2262 0.4667 0.7779  2 Si 1.62-1.65
O: 0.2738 0.5333 0.2779  2 Si 1.62-1.65
O: 0.6035 0.9748 0.9164  1 H 1.23
O: 0.4531 0.7500 0.1541  2 Si 1.65
O: 0.3965 0.0252 0.0836  1 H 1.23
O: 0.5469 0.2500 0.8459  2 Si 1.65
O: 0.2262 0.0333 0.7779  2 Si 1.62-1.65
O: 0.0469 0.2500 0.6541  2 Si 1.65
O: 0.8965 0.4748 0.4164  1 H 1.23
O: 0.7738 0.9667 0.2221  2 Si 1.62-1.65
O: 0.7738 0.5333 0.2221  2 Si 1.62-1.65
O: 0.6035 0.5252 0.9164  1 H 1.23
O: 0.2738 0.9667 0.2779  2 Si 1.62-1.65
O: 0.1035 0.9748 0.5836  1 H 1.23
........

Could you say how many lines of the lines further above hold the word "per", as a bare number?

4